2 minute read
Nevis hosts
The Second Caribbean Beekeeping Congress
by Clive de Bruyn, UK
### Attached: records of molecules
~~~
DFT (ωB97M-V/def2-TZVPD) results for 4 unconnected molecules or ions with the total composition C28H60F5N5O12P3.

Properties
Orbital gap, eV: 8.659
Net charge: +1
LUMO, hartree: -0.10864
HOMO level, eV: -11.615

Atoms and positions in Å:
1 C -1.537 0.737 -2.877
2 C -2.311 1.489 -3.914
3 C -1.722 1.563 -5.293
4 N -3.467 1.979 -3.576
5 N -3.647 3.353 -3.808
6 C -4.567 3.813 -4.853
7 C -5.955 4.325 -4.359
8 C -6.382 3.902 -2.950
9 C -6.899 2.476 -2.760
10 F -5.987 1.681 -2.169
11 F -7.952 2.545 -1.894
12 C -7.458 1.762 -4.009
13 F -6.519 1.472 -4.905
14 F -8.444 2.476 -4.539
15 F -7.991 0.603 -3.625
16 C -3.018 4.232 -3.068
17 N -2.142 3.945 -2.073
18 C -1.783 5.101 -1.573
19 N -2.366 6.115 -2.202
20 N -3.153 5.578 -3.174
21 H -2.119 0.704 -1.959
22 H -0.615 1.301 -2.721
23 H -1.326 -0.281 -3.214
24 H -0.732 1.109 -5.301
25 H -2.352 0.914 -5.909
26 H -1.712 2.561 -5.732
27 H -4.691 3.032 -5.595
28 H -4.066 4.637 -5.375
29 H -6.691 4.091 -5.125
30 H -5.896 5.418 -4.337
31 H -5.591 4.049 -2.215
32 H -7.205 4.555 -2.657
33 H -1.096 5.175 -0.744
34 H -2.235 7.087 -1.971
35 H -3.718 6.127 -3.800
36 O -3.511 -5.046 -2.107
37 P -4.343 -4.124 -1.319
38 O -4.585 -4.734 0.143
39 C -3.457 -4.932 1.010
40 C -2.936 -3.619 1.560
41 O -5.829 -4.318 -1.952
42 C -6.036 -4.946 -3.217
43 C -6.521 -6.367 -3.031
44 O -4.552 -2.584 -0.963
45 C -5.354 -1.673 -1.737
46 C -6.695 -1.491 -1.073
47 H -2.672 -5.473 0.477
48 H -3.803 -5.568 1.823
49 H -2.505 -3.006 0.764
50 H -2.164 -3.793 2.310
51 H -3.743 -3.042 2.011
52 H -5.135 -4.914 -3.829
53 H -6.800 -4.361 -3.736
54 H -5.814 -6.942 -2.433
55 H -6.651 -6.862 -3.994
56 H -7.474 -6.374 -2.502
57 H -5.446 -1.999 -2.773
58 H -4.824 -0.718 -1.746
59 H -7.228 -2.434 -0.962
60 H -7.318 -0.806 -1.646
61 H -6.564 -1.088 -0.068
62 O -0.062 -2.595 4.526
63 P 1.012 -1.638 4.839
64 O 0.358 -0.251 5.323
65 C -0.422 -0.223 6.526
66 C 0.441 -0.319 7.769
67 O 1.546 -1.184 3.366
68 C 1.239 -1.940 2.200
69 C 0.129 -1.273 1.418
70 O 2.423 -1.493 5.548
71 C 3.689 -1.752 4.899
72 C 4.328 -0.449 4.489
73 H -1.165 -1.024 6.502
74 H -0.958 0.726 6.517
75 H 0.918 -1.299 7.842
76 H -0.161 -0.167 8.664
77 H 1.235 0.427 7.743
78 H 0.980 -2.968 2.447
79 H 2.149 -1.974 1.595
80 H -0.761 -1.145 2.035
81 H -0.135 -1.865 0.540
82 H 0.439 -0.278 1.090
83 H 3.573 -2.435 4.059
84 H 4.319 -2.253 5.635
85 H 3.687 0.118 3.817
86 H 5.281 -0.628 3.991
87 H 4.503 0.178 5.364
88 O 7.251 0.636 2.481
89 P 8.601 0.866 1.943
90 O 8.588 2.189 1.027
91 C 8.296 3.458 1.624
92 C 9.451 3.976 2.459
93 O 8.725 -0.239 0.753
94 C 7.842 -1.355 0.665
95 C 6.792 -1.118 -0.399
96 O 10.141 0.849 2.320
97 C 10.983 -0.323 2.240
98 C 11.807 -0.265 0.976
99 H 7.384 3.383 2.223
100 H 8.096 4.142 0.800
101 H 9.610 3.352 3.341
102 H 9.254 4.995 2.795
103 H 10.376 3.966 1.883
104 H 7.383 -1.577 1.628
105 H 8.453 -2.219 0.393
106 H 6.232 -0.205 -0.193
107 H 6.094 -1.955 -0.450
108 H 7.264 -0.996 -1.375
109 H 10.400 -1.239 2.309
110 H 11.641 -0.294 3.108
111 H 11.175 -0.209 0.092
~~~
The first Caribbean Beekeeping Congress was held in Tobago in 1998. In August 2000 it was the turn of the Island of Nevis to welcome over 50 participants to the Second Congress, with the theme ‘Expanding the Horizons for Caribbean Beekeepers’
Delegates were welcomed by Nevis Premier Vance Amory who told them that honey production could become a world-class income earner for the region: “We are being forced to place a greater emphasis on the development of agriculture and the sub-sectors within to ensure that we remain outside of the poverty circle” he said.
said Elvin Bailey, Permanent Secretary for Agriculture
said Mr Bailey.
(Next to the text, the page also holds records of molecules)
'''
(1)
The following is a quantum chemistry calculation of C3H39O17Y as an isolated structure at a distorted geometry, from OMol25.

Last column: natural (NBO) charge in e.
Element x y z (Å)
Y: 0.761 -3.101 -6.011  1.55
C: 1.874 0.106 -0.571  -0.59
C: 0.379 -0.193 -0.622  0.00
C: -0.325 1.019 -0.052  -0.66
O: -0.104 -0.684 -1.852  -0.16
H: 2.209 0.160 0.465  0.26
H: 2.197 0.954 -1.174  0.26
H: 2.424 -0.766 -0.926  0.23
H: 0.237 -0.965 0.134  0.35
H: -0.147 1.870 -0.709  0.25
H: -0.180 1.142 1.022  0.25
H: -1.404 0.900 -0.159  0.24
O: -2.764 3.922 5.120  -0.95
H: -3.063 4.829 5.061  0.48
H: -3.403 3.425 4.609  0.47
O: -2.636 -5.103 -4.838  -0.98
H: -2.747 -5.384 -3.929  0.49
H: -3.524 -5.090 -5.195  0.49
O: 1.443 4.990 3.594  -0.94
H: 2.022 4.873 4.347  0.47
H: 0.613 4.598 3.866  0.47
O: -5.143 -2.106 2.143  -0.94
H: -5.238 -1.156 2.082  0.47
H: -4.371 -2.235 2.694  0.46
O: 1.527 -5.794 -2.983  -0.98
H: 2.106 -6.547 -3.097  0.49
H: 1.425 -5.711 -2.035  0.49
O: -3.853 2.543 -4.011  -0.93
H: -3.197 1.936 -3.669  0.45
H: -4.150 3.033 -3.244  0.48
O: 8.422 -3.413 0.187  -0.94
H: 7.547 -3.184 0.499  0.46
H: 8.917 -3.609 0.982  0.48
O: -2.936 -5.546 -0.289  -0.93
H: -3.407 -4.713 -0.322  0.47
H: -2.025 -5.300 -0.124  0.46
O: 2.989 6.796 -0.744  -0.93
H: 2.902 6.168 -0.027  0.47
H: 3.809 6.556 -1.176  0.47
O: 2.559 -1.171 5.024  -0.93
H: 1.680 -1.064 5.388  0.48
H: 2.415 -1.525 4.147  0.45
O: 1.454 -6.085 1.565  -0.96
H: 1.975 -6.775 1.975  0.48
H: 0.841 -5.810 2.246  0.47
O: 2.360 0.770 -6.181  -0.98
H: 1.969 1.636 -6.295  0.49
H: 3.295 0.941 -6.073  0.50
O: -1.482 0.302 6.755  -0.95
H: -1.644 0.444 7.687  0.48
H: -1.574 1.169 6.360  0.47
O: -5.290 5.192 -0.901  -0.95
H: -4.456 5.647 -0.786  0.47
H: -5.944 5.891 -0.915  0.48
O: 6.726 0.820 -5.208  -0.95
H: 7.246 1.397 -5.768  0.48
H: 7.121 0.908 -4.341  0.48
O: -5.917 2.431 2.261  -0.95
H: -5.699 3.008 1.529  0.47
H: -6.821 2.656 2.483  0.48

Atomic forces in eV per Å
Y -0.2 0.0 0.5
C 2.2 -2.0 -0.2
C -1.8 2.1 -2.8
C -1.9 -0.5 -0.7
O 1.5 0.7 3.2
H -0.4 0.6 0.0
H -0.6 0.2 0.1
H 0.1 0.0 -0.3
H 0.1 -1.5 0.2
H 0.5 0.4 0.5
H 0.6 0.4 -0.3
H -0.3 -0.2 0.0
O 0.3 -0.2 0.0
H -0.1 0.3 0.1
H -0.3 -0.2 -0.1
O 0.6 0.4 -0.2
H 0.0 -0.2 0.4
H -0.3 0.0 -0.2
O 0.1 0.0 -0.3
H 0.2 0.0 0.2
H -0.3 0.0 0.1
O 0.1 -0.2 -0.3
H -0.2 0.3 0.0
H 0.1 -0.1 0.3
O -0.2 0.5 -0.5
H 0.2 -0.3 -0.1
H -0.1 0.0 0.4
O 0.1 -0.1 -0.2
H 0.1 -0.1 0.1
H -0.2 0.3 0.2
O 0.0 0.0 -0.3
H -0.2 0.1 0.1
H 0.2 -0.1 0.2
O 0.1 -0.1 -0.3
H -0.3 0.2 0.1
H 0.2 -0.1 0.2
O -0.2 0.0 -0.2
H -0.1 -0.1 0.3
H 0.2 0.0 -0.1
O 0.2 0.1 -0.1
H -0.3 0.1 0.3
H 0.0 -0.1 -0.1
O 0.0 0.2 -0.4
H 0.2 -0.2 0.1
H -0.2 0.0 0.2
O -0.3 -0.6 0.1
H -0.2 0.3 -0.1
H 0.4 0.0 0.0
O 0.1 -0.3 -0.3
H 0.0 0.0 0.3
H -0.1 0.3 -0.1
O 0.1 -0.4 0.0
H 0.2 0.2 0.0
H -0.2 0.2 0.0
O -0.4 -0.1 -0.1
H 0.2 0.1 -0.2
H 0.1 0.0 0.2
O 0.3 -0.2 0.1
H 0.0 0.2 -0.3
H -0.3 0.0 0.1

Total charge ... +2
Energy relative to the best compared isomer or geometry (same formula, charge and spin) ... 325.4 kcal/mol
'''
Gladstone Solomon, President of Tobago Apicultural Society and a driving force in organising Caribbean beekeepers, told the meeting that the Caribbean currently produces about 7,000 tonnes of multifloral honey with an exotic taste and a romantic aura, most of which is consumed in the region.
These calculated molecules were left in the text by mistake
ORCA calculation (ωB97M-V with the def2-TZVPD basis set) on a 7-piece molecular cluster, C21H29ClN9O overall.

The calculation puts the total energy at -50213.6596 eV. Its maximum force is 5.1 eV Å⁻¹. The value obtained for the LUMO energy is -4.49 eV. As for the charge: +1. As for the HOMO energy: -11.7 eV. Its multiplicity is 1.

Last column: natural (NBO) charge in e.
Atoms and positions in Å:
1 N -3.26 3.48 1.14  -0.764
2 C -2.88 2.07 0.97  0.715
3 N -2.77 1.63 -0.28  -0.718
4 N -2.72 1.31 2.20  -0.443
5 Cl -4.15 1.30 3.16  0.215
6 C -2.17 -0.06 2.00  -0.347
7 C -0.55 -0.14 2.13  0.547
8 O -0.07 -1.06 2.86  -0.475
9 C 0.45 0.88 1.45  -0.177
10 C 1.43 0.28 0.38  -0.191
11 C 2.52 1.16 -0.35  -0.197
12 C 2.61 2.66 0.01  -0.199
13 C 1.64 3.25 1.07  -0.218
14 C 0.56 2.40 1.80  -0.241
15 H -3.16 3.99 0.24  0.422
16 H -2.59 3.87 1.84  0.415
17 H -2.85 0.66 -0.60  0.447
18 H -2.68 2.35 -1.02  0.463
19 H -2.50 -0.60 1.05  0.215
20 H -2.56 -0.70 2.87  0.282
21 H 1.44 -0.83 0.09  0.257
22 H 3.24 0.72 -1.12  0.261
23 H 3.41 3.34 -0.46  0.249
24 H 1.73 4.37 1.35  0.241
25 H -0.14 2.82 2.59  0.222
26 C 1.70 -4.27 0.49  -0.719
27 C 2.01 -3.22 -0.54  0.333
28 N 2.25 -2.40 -1.35  -0.405
29 H 0.89 -3.92 1.14  0.264
30 H 1.39 -5.19 0.01  0.264
31 H 2.58 -4.46 1.11  0.272
32 C -6.90 3.98 -0.95  -0.723
33 C -5.50 4.08 -1.45  0.353
34 N -4.39 4.16 -1.85  -0.427
35 H -7.26 2.95 -1.04  0.264
36 H -6.95 4.27 0.10  0.265
37 H -7.55 4.64 -1.53  0.277
38 C 2.86 -2.13 -4.44  -0.716
39 C 2.42 -2.55 -5.81  0.288
40 N 2.07 -2.88 -6.89  -0.352
41 H 2.66 -1.06 -4.30  0.250
42 H 2.33 -2.69 -3.68  0.264
43 H 3.93 -2.31 -4.33  0.263
44 C 3.95 -7.99 1.23  -0.717
45 C 2.88 -7.28 2.00  0.298
46 N 2.04 -6.72 2.62  -0.357
47 H 4.77 -7.30 1.01  0.256
48 H 4.34 -8.82 1.81  0.265
49 H 3.54 -8.36 0.29  0.257
50 C -3.28 2.12 6.79  -0.708
51 C -3.82 2.91 7.94  0.269
52 N -4.25 3.53 8.85  -0.303
53 H -2.55 2.71 6.24  0.244
54 H -2.80 1.21 7.16  0.259
55 H -4.09 1.84 6.12  0.238
56 C 4.22 1.12 -7.46  -0.718
57 C 4.92 0.76 -6.18  0.298
58 N 5.46 0.47 -5.17  -0.356
59 H 3.49 0.35 -7.72  0.264
60 H 3.71 2.08 -7.35  0.252
61 H 4.96 1.21 -8.27  0.261


ORCA calculation (ωB97M-V with the def2-TZVPD basis set) on a 12-piece molecular cluster, C60H53N3O41 overall.

The calculation puts the total energy at -151478.7161 eV. Its maximum force is 6.4 eV Å⁻¹. The value obtained for the LUMO energy is -2.40 eV. As for the charge: 0. As for the HOMO energy: -9.3 eV. As for the SMILES: O=C1C=C(O)C(=O)C=C1O.O=C1C=C(O)C(=O)C=C1O.O=C1C=C(O)C(=O)C=C1O.O=C1C=C(O)C(=O)C=C1O.O=C1C=C(O)C(=O)C=C1O.O=C1C=C(O)C(=O)C=C1O.O=C1C=C(O)C(=O)C=C1O.O=C1C=C(O)C(=O)C=C1O.O=C1C=C(O)C(=O)C=C1O.C[N+](=O)[O-].C[N+](=O)[O-].COC[C@H](C)N. Its multiplicity is 1.

Last column: Löwdin charge in e.
Atoms and positions in Å:
1 O -5.92 -0.51 1.86  0.105
2 C -5.63 -1.65 1.54  -0.343
3 C -6.45 -2.33 0.54  0.080
4 C -6.28 -3.67 0.30  -0.248
5 O -7.14 -4.23 -0.53  0.115
6 C -5.41 -4.60 1.01  -0.309
7 O -5.36 -5.81 0.85  0.131
End of the calculated molecules
Junior Minster Livingstone Herbert praised beekeeper Quentin Henderson. “It would be remiss of me in lauding the success story of the Nevis Beekeepers’ Society Cooperative Ltd (now 20+ members strong), if I failed to pay tribute to the man who I perceive to be the heartbeat of that society and certainly the heart beat of beekeeping in Nevis,” he said,
During the five days of the Congress, papers were presented on: marketing, Africanized honeybees, stingless bees, pests and diseases, Varroa control and food safety. Participants came from many Caribbean islands: Antigua, Bermuda, Dominica, Jamaica, Nevis, St Lucia, Suriname, Trinidad and Tobago, as well as Finland, The Netherlands, UK, USA and Venezuela.
Jamaica will be nesting the Third Caribbean Beekeeping Congress in 2002. Will you be there?
The Congress Proceedings are now in preparation - read B&Dfor more information and details of the next Congress.
Proceedings of the First Caribbean Congress reviewed in B&D 54 are available from Bees for Development price 30.
A Congress Resolution called upon Caribbean Governments to collectively impose immediate restrictions on the importation of queen bees and honey in order to minimise the spread of pests and diseases.
During post-Congress apiary inspections Varroa was identified in every apiary visited. We concluded that the mite had probably arrived since a survey in 1998 declared Nevis free of brood disease and Varroa. Nevisian beekeepers now have to learn how to assist their bees to cope with Varroa.